PAWLEYS ISLAND—You might think it would be hard to get more than a few teenagers together in one place week after week during the height of summer.
A new summer program at Precious Blood of Christ Church on Pawleys Island is making it look easy.
Men of Virtue/Women of Grace, for middle and high school students, is regularly drawing more than 30 teens each Wednesday night because it focuses on hot-button issues that youth want to talk about.
It is the brainchild of Elizabeth Ziegler, the parish youth director, who wanted to find a way to keep teens engaged in their faith during the long break.
“I had asked the youth group what they wanted to focus on over the summer, and they all mentioned specific issues like the Catholic stance on homosexuality and other social issues they see in their daily lives,” Ziegler said. “The program offers a safe setting where they can really dive into what the Church has to say about these issues and how they can deal with them.”
The program includes something for both youth and adults.
Ziegler leads the sessions for teen girls while the boys meet with Kyle Lesmes, a seminarian for the Diocese of Charleston who is working at the church during the summer. The groups are separated by gender so youth will feel comfortable bringing up difficult topics.
“There are specific things men go through and specific things women go through, and it can help if they have their own space to talk about it,” Ziegler said.
-- Someone pasted calculated molecules at this point --
+++
A:
{
  "formula": "C3H10N2O3",
  "method": "the ωB97M-V functional and the def2-TZVPD basis",
  "spin_multiplicity": 1,
  "charge": 0,
  "smiles": "CC(C)=[N+]([O-])O.NO",
  "gap_ev": 9.2,
  "lumo_ev": 0.611,
  "mol_weight_g_mol": 122.12,
  "symbols": ["O", "O", "O", "N", "N", "C", "C", "C", "H", "H", "H", "H", "H", "H", "H", "H", "H", "H"],
  "positions_angstrom": [[0.0216, 2.9590, 1.0704], [2.1345, -0.3975, -0.1858], [0.3719, 0.3433, 1.0319], [-0.6743, 3.3422, 2.2352], [0.7578, -0.4131, 0.0538], [-1.4291, -1.1990, -0.5145], [0.0394, -1.1174, -0.7468], [0.6786, -1.8472, -1.8770], [1.4170, -1.2174, -2.3732], [1.2013, -2.7343, -1.5126], [-1.6867, -0.7307, 0.4322], [0.1556, 1.9523, 1.0498], [-0.1297, 3.0546, 3.0484], [-0.0772, -2.1573, -2.5935], [2.4996, 0.2433, 0.4473], [-1.5660, 2.8505, 2.2560], [-1.7498, -2.2403, -0.5035], [-1.9646, -0.6908, -1.3183]],
  "lowdin_charge": [-0.20, 0.07, -0.10, -0.07, -0.24, 0.00, -0.27, -0.01, 0.09, 0.10, 0.08, 0.03, 0.06, 0.09, 0.13, 0.06, 0.09, 0.10]
}



B:
{
  "formula": "C3H10N2O3",
  "method": "the ωB97M-V functional and the def2-TZVPD basis",
  "spin_multiplicity": 1,
  "charge": 0,
  "smiles": "C[C@](N)(O)N=O.CO",
  "gap_ev": 8.6,
  "lumo_ev": -0.256,
  "mol_weight_g_mol": 122.12,
  "symbols": ["O", "O", "O", "N", "N", "C", "C", "C", "H", "H", "H", "H", "H", "H", "H", "H", "H", "H"],
  "positions_angstrom": [[1.5750, 1.6792, 0.6311], [-0.7943, -0.8948, 0.9385], [-0.5541, 1.5402, -1.1569], [1.3514, -1.3627, 1.5246], [0.7107, 1.0496, 1.1432], [0.8238, -1.3422, -0.7743], [0.5425, -0.6462, 0.5654], [-1.9020, 1.9129, -0.9934], [-2.5040, 1.0758, -0.6217], [1.8299, -1.1227, -1.1407], [0.1096, -1.0428, -1.5453], [-2.2889, 2.2149, -1.9727], [0.6583, -2.4244, -0.7138], [1.1985, -1.0089, 2.4658], [-1.9731, 2.7837, -0.3328], [-0.2941, 0.6774, -0.5197], [2.3376, -1.2600, 1.3003], [-0.8269, -1.8291, 1.2023]],
  "lowdin_charge": [0.02, -0.04, -0.20, 0.08, 0.08, -0.03, -0.60, -0.17, 0.08, 0.09, 0.08, 0.07, 0.09, 0.09, 0.07, 0.08, 0.09, 0.11]
}



Name the least stable of them. A.



A:
{
  "formula": "C9H18N3",
  "method": "the ωB97M-V functional and the def2-TZVPD basis",
  "spin_multiplicity": 1,
  "charge": 1,
  "gap_ev": 7.8,
  "lumo_ev": -3.185,
  "mol_weight_g_mol": 168.26,
  "symbols": ["N", "N", "N", "C", "C", "C", "C", "C", "C", "C", "C", "C", "H", "H", "H", "H", "H", "H", "H", "H", "H", "H", "H", "H", "H", "H", "H", "H", "H", "H"],
+++
While the youth attend their sessions, parents meet in a separate discussion group led by parishioners Tim and Tara Joseph focused on the DVD series, “Who Am I to Judge?” — an in-depth study of the dangers of relativism and its impact on modern culture by theologian Edward Sri.
Discussion topics in the girls’ sessions so far have included peer pressure, modesty and self-image.
An especially emotional discussion took place July 5 as the groups discussed suicide and self-harm, an issue especially on the minds of many these days as the result of the popularity of the controversial Netflix series “Thirteen Reasons Why,” which features a teenager posthumously revealing the reasons that led her to commit suicide.
In the boys’ sessions, Lesmes has also addressed what it means to be a young man of faith and what it means to try to live up to the word “gentleman.” One of the harder topics he dealt with was pornography, its constant presence on the internet and in society and how to deal with temptation.
Other topics that will be discussed over the summer include homosexuality, cyber-bullying, dating and how to handle breakups and drugs and alcohol.
“Men of Virtue/Women of Grace” meets each Wednesday through Aug. 16 from 7 to 8:30 p.m.